Clinton is a Climate Smart Community
In October 2024, the Town of Clinton was designated a Climate Smart Community at the Bronze Level.
Climate Smart Communities (CSC) is a New York State program that helps local governments take action to reduce greenhouse gas emissions and adapt to a changing climate. As a town completes actions that help mitigate climate change at the local level, they are able to progress through three levels of CSC certification: bronze, silver, and gold.
The Town of Clinton created a Climate Smart Community Task Force in 2018, and the Town Board adopted the CSC pledge in the spring of 2021, officially registering us as a Climate Smart Community.
The CSC Task Force meets monthly to pursue goals that will qualify the town for the first level, Bronze Certification. You can follow their progress here.
Goals of the Task Force
The goals of the CSC Task Force is to develop a strategy and work plan for establishing a baseline for the town’s current emissions to:
Recommend ways to reduce emissions
Identify strategies for increasing energy efficiency
Suggest ways to incorporate these strategies into the town’s economic development and planning efforts
Benefits for the Town of Clinton
In addition to the environmental benefits of reducing carbon emissions, becoming a Climate Smart Community can help the Town in many ways.
Reduce energy costs can reduce town taxes
Receive state and federal assistance in adopting low-carbon technologies
Secure grants to add more solar panels to the Highway Department Salt Shed and the Town complex on Centre Road
Cut federal and state taxes for individuals through solar credits/rebates
Attract economic growth by enhancing the Town’s reputation as an environmental leader
Improve air and water quality
Increase energy independence and security
Provide an opportunity for residents to use Clinton’s collective buying power and scale to provide 100% NYS-generated renewable electricity supply and services aligned with our needs via participation in the Hudson Valley Community Power CCA.
Enhance the community’s reputation as an environmental leader
Why Now?
According to NASA, 97% of scientists agree that man-made greenhouse gasses are very likely triggering the dramatic changes in weather- and climate-related events that we are seeing today. The evidence that indicates we’re in trouble is growing.
Every country, state, town, and citizen needs to work urgently to reduce greenhouse gas emissions and save our planet for our children and grandchildren. The Town of Clinton is proud to join the Climate Smart Communities Initiative.
(Unrelated to this page: calculated crystals)
+++
[1]
The following is a r²SCAN calculation of a relaxed structure of Cs2SbF5, from the Materials Project.

space group	No. 63

abc: 7.8369 7.8369 7.1601
angles: 90.00 90.00 129.91
Sites, in units of the cell vectors:
Cs1 0.0584 0.9416 0.7500
Cs2 0.2605 0.7395 0.2500
Cs3 0.7395 0.2605 0.7500
Cs4 0.9416 0.0584 0.2500
Sb1 0.4119 0.5881 0.7500
Sb2 0.5881 0.4119 0.2500
F1 0.1623 0.3924 0.5515
F2 0.1623 0.3924 0.9485
F3 0.2733 0.7267 0.7500
F4 0.3924 0.1623 0.0515
F5 0.3924 0.1623 0.4485
F6 0.6076 0.8377 0.5515
F7 0.6076 0.8377 0.9485
F8 0.7267 0.2733 0.2500
F9 0.8377 0.6076 0.0515
F10 0.8377 0.6076 0.4485

[2]
The following is a r²SCAN calculation of a relaxed structure of LuS, from the Materials Project.

space group	No. 225

abc: 3.7847 3.7847 3.7847
angles: 60.00 60.00 60.00
Sites, in units of the cell vectors:
Lu1 0.0000 0.0000 0.0000
S1 0.5000 0.5000 0.5000

[3]
The following is a r²SCAN calculation of a relaxed structure of Rb2In3, from the Materials Project.

space group	No. 139

abc: 9.3481 9.3481 9.3481
angles: 136.58 136.58 63.08
Sites, in units of the cell vectors:
Rb1 0.1098 0.1098 0.0000
Rb2 0.2500 0.7500 0.5000
Rb3 0.7500 0.2500 0.5000
Rb4 0.8902 0.8902 0.0000
In1 0.2046 0.5000 0.7046
In2 0.3530 0.3530 0.0000
In3 0.5000 0.2046 0.7046
In4 0.5000 0.7954 0.2954
In5 0.6470 0.6470 0.0000
In6 0.7954 0.5000 0.2954

[4]
The following is a r²SCAN calculation of a relaxed structure of Tm4Ni2C5, from the Materials Project.

space group	No. 25

abc: 3.5493 11.4080 3.6421
angles: 90.00 90.00 90.00
Sites, in units of the cell vectors:
Tm1 0.0000 0.0000 0.0000
Tm2 0.0000 0.2966 0.7095
Tm3 0.0000 0.7034 0.7095
Tm4 0.5000 0.5000 0.2123
Ni1 0.5000 0.1155 0.5109
Ni2 0.5000 0.8845 0.5109
C1 0.0000 0.5000 0.7189
C2 0.5000 0.1670 0.0118
C3 0.5000 0.2713 0.2120
C4 0.5000 0.7287 0.2120
C5 0.5000 0.8330 0.0118

[5]
The following is a r²SCAN calculation of a relaxed structure of DyCo3, from the Materials Project.

space group	No. 166

abc: 8.5109 8.5109 8.5109
angles: 34.24 34.24 34.24
Sites, in units of the cell vectors:
Dy1 0.0000 0.0000 0.0000
Dy2 0.1420 0.1420 0.1420
Dy3 0.8580 0.8580 0.8580
Co1 0.0930 0.5741 0.5741
Co2 0.3281 0.3281 0.3281
Co3 0.4259 0.4259 0.9070
Co4 0.4259 0.9070 0.4259
Co5 0.5000 0.5000 0.5000
Co6 0.5741 0.0930 0.5741
Co7 0.5741 0.5741 0.0930
Co8 0.6719 0.6719 0.6719
Co9 0.9070 0.4259 0.4259

[6]
The following is a r²SCAN calculation of a relaxed structure of Ba2CdSe3, from the Materials Project.

space group	No. 62

abc: 9.3585 4.5387 18.1263
angles: 90.00 90.00 90.00
Sites, in units of the cell vectors:
Ba1 0.0781 0.2500 0.2151
Ba2 0.2396 0.2500 0.9598
Ba3 0.2604 0.7500 0.4598
Ba4 0.4219 0.7500 0.7151
Ba5 0.5781 0.2500 0.2849
Ba6 0.7396 0.2500 0.5402
Ba7 0.7604 0.7500 0.0402
Ba8 0.9219 0.7500 0.7849
Cd1 0.1243 0.2500 0.6331
Cd2 0.3757 0.7500 0.1331
Cd3 0.6243 0.2500 0.8669
Cd4 0.8757 0.7500 0.3669
Se1 0.0136 0.2500 0.4038
Se2 0.1186 0.7500 0.0724
Se3 0.1856 0.2500 0.7764
Se4 0.3144 0.7500 0.2764
Se5 0.3814 0.2500 0.5724
+++
The CSC Task Force consists of an open number of members with staggered two-year terms and includes a local government official, local government staff members, residents, and other stakeholders.
Term: Jan. 1, 2024 to Dec. 31, 2024
Joseph Phelan, Chair, Member of CAC
Charles Canham, ZBA
Todd Martin, Highway Superintendent
Term: Jan. 1, 2023 to Decc 31, 2024
Jean McAvoy, CAC Member
Richard Marshall
Melissa Karchmer
Jack Persely
Stan Orser
Ken Pickett
Jim Metcalf
Eliot Werner, Town Board Liaison
Questions? Contact Joe Phalen, Climate Smart Task Force Chair, at csc@townofclinton.com.